• Data:
+++
Compound: Co3ICl
Source: Alexandria
Functional: GGA-PBE
Structure: optimized geometry

Cell: 4.392 4.392 4.392 Å, 90.00 90.00 90.00°
Fractional positions:
I1 0.500 0.500 0.500
Co1 0.000 0.500 0.000
Co2 0.000 0.000 0.500
Co3 0.500 0.000 0.000
Cl1 0.000 0.000 0.000

Magnetic moment = 1.000 μB/atom
Formation energy without anion corrections = 0.938 eV/atom
+++

• What to do:
Next, quote only the lines earlier on with the word "Co3ICl" in them.

• Reply:
Compound: Co3ICl